Next, filter the listing below: keep the lines with the word "Ru3".

┌──
Material: SrAc2TaO6
Method: DFT, GGA-PBE
State: relaxed

The formation energy from raw total energies is -2825 kJ/mol of formula units. The electronic total energy comes out at -80.8 eV/f.u. For the density, the calculation gives 7.5 g/cm3.

The structure belongs to space group P4mm (No. 99); the cell edges are 5.702, 5.702 and 5.604 Å and the angles 90.00°, 90.00° and 90.00°. Symmetry generates all atoms from Sr at (0.000, 0.000, 0.000), Ac at (0.000, 0.500, 0.458), Ta at (0.500, 0.500, 0.054), O at (0.000, 0.000, 0.571), O at (0.274, 0.274, 0.196) and O at (0.500, 0.500, 0.715).

----------

[1]
## Mg2TlOs (GGA-PBE)

Data for a relaxed Mg2TlOs crystal.

Computed properties:
The formation energy is 143.9 kJ/mol of formula units. As for the polymorph energy (0 for the lowest one): 145.5 meV per atom.

a b c (Å): 6.652 6.652 6.652
angles (deg): 90.00 90.00 90.00
Space group F-43m (No. 216)
One atom of each set of equivalent atoms:
Mg  0.000  0.000  0.000
Mg  0.250  0.250  0.250
Tl  0.000  0.000  0.500
Os  0.250  0.250  0.750


[2]
## MgTlOs (GGA-PBE)

Data for a relaxed MgTlOs crystal.

Computed properties:
The formation energy is 154.8 kJ/mol of formula units. As for the polymorph energy (0 for the lowest one): 0.0 meV per atom.

a b c (Å): 3.389 3.389 9.512
angles (deg): 90.00 90.00 90.00
Space group I4mm (No. 107)
One atom of each set of equivalent atoms:
Mg  0.000  0.000  0.000
Tl  0.000  0.000  0.691
Os  0.000  0.000  0.361


[3]
## Mg2TlOs (GGA-PBE)

Data for a relaxed Mg2TlOs crystal.

Computed properties:
The formation energy is 106.9 kJ/mol of formula units. As for the polymorph energy (0 for the lowest one): 49.8 meV per atom.

a b c (Å): 10.061 3.626 4.433
angles (deg): 90.00 116.05 90.00
Space group Cm (No. 8)
One atom of each set of equivalent atoms:
Mg  0.000  0.000  0.000
Mg  0.238  0.000  0.738
Tl  0.483  0.000  0.483
Os  0.235  0.500  0.235

----------

# 1
# CaLa3Ru | Alexandria | GGA-PBE | optimized geometry
data_CaLa3Ru
_chemical_formula_sum 'Ca3 La9 Ru3'
_cell_length_a 7.4749
_cell_length_b 7.4749
_cell_length_c 10.7378
_cell_angle_alpha 90.00
_cell_angle_beta 90.00
_cell_angle_gamma 120.00
_symmetry_space_group_name_H-M 'R 3 m'
_symmetry_Int_Tables_number 160
_symmetry_space_group_name_Hall 'R 3 -2"'
loop_
_atom_site_label
_atom_site_type_symbol
_atom_site_fract_x
_atom_site_fract_y
_atom_site_fract_z
Ca1 Ca 0.0000 0.0000 0.0000
La1 La 0.0078 0.5039 0.0693
Ru1 Ru 0.0000 0.0000 0.2611
# Mass density, kg/m3: 5349
# Calculated formation energy, eV per atom: 0.063
# Energy, eV/atom: -5.149

# 2
# Mg2ZrSe | Alexandria | GGA-PBE | optimized geometry
data_Mg2ZrSe
_chemical_formula_sum 'Mg4 Zr2 Se2'
_cell_length_a 4.2144
_cell_length_b 4.2144
_cell_length_c 9.1758
_cell_angle_alpha 90.00
_cell_angle_beta 90.00
_cell_angle_gamma 90.00
_symmetry_space_group_name_H-M 'I -4 m 2'
_symmetry_Int_Tables_number 119
_symmetry_space_group_name_Hall 'I -4 -2'
loop_
_atom_site_label
_atom_site_type_symbol
_atom_site_fract_x
_atom_site_fract_y
_atom_site_fract_z
Mg1 Mg 0.0000 0.0000 0.0000
Mg2 Mg 0.0000 0.5000 0.2500
Zr1 Zr 0.0000 0.0000 0.5000
Se1 Se 0.0000 0.5000 0.7500
# Mass density, kg/m3: 4459
# Formation energy without anion corrections, eV per atom: -0.300
# Energy, eV/atom: -4.105

# 3
# YSi2GeRh | Alexandria | GGA-PBE | optimized geometry
data_YSi2GeRh
_chemical_formula_sum 'Y1 Si2 Ge1 Rh1'
_cell_length_a 4.5775
_cell_length_b 4.5775
_cell_length_c 5.3011
_cell_angle_alpha 90.00
_cell_angle_beta 90.00
_cell_angle_gamma 90.00
_symmetry_space_group_name_H-M 'P 4/m m m'
_symmetry_Int_Tables_number 123
_symmetry_space_group_name_Hall '-P 4 2'
loop_
_atom_site_label
_atom_site_type_symbol
_atom_site_fract_x
_atom_site_fract_y
_atom_site_fract_z
Y1 Y 0.0000 0.0000 0.0000
Si1 Si 0.0000 0.5000 0.5000
Ge1 Ge 0.0000 0.0000 0.5000
Rh1 Rh 0.5000 0.5000 0.0000
# Mass density, kg/m3: 4793
# Formation energy without anion corrections, eV per atom: 0.736
# Energy, eV/atom: -5.120

----------

1.
└──

_chemical_formula_sum 'Ca3 La9 Ru3'